1/11/2022·2 mins to read
Jargon Begone: Plain Language Act creates new requirements for the public sector
**These records of crystals were left in the piece by mistake:**
~~~
(1)
This entry pairs a crystal structure of PdAu with its calculated PXRD pattern. Radiation: Cu Kα. Structure: DFT lattice parameters and positions (PBE).

Main lines, by angle (5° ≤ 2θ ≤ 70°):
2θ (°)  intensity
19.10  15
36.47  10
38.21  100
38.75  32
44.57  65
48.90  4
59.30  3
59.69  1
64.48  22
65.24  21
67.93  4

Structural model:
a = 2.890 Å, b = 2.890 Å, c = 13.941 Å
α = 90.00°, β = 90.00°, γ = 120.00°
Fractional positions:
Pd  0.000  0.000  0.000
Pd  0.333  0.667  0.667
Pd  0.667  0.333  0.333
Au  0.000  0.000  0.500
Au  0.333  0.667  0.167
Au  0.667  0.333  0.833

---

(2)
This entry pairs a crystal structure of Pm2PdAu with its calculated PXRD pattern. Radiation: Cu Kα. Structure: DFT lattice parameters and positions (PBE).

Main lines, by angle (5° ≤ 2θ ≤ 70°):
2θ (°)  intensity
21.08  5
34.75  100
41.00  3
49.97  18
54.81  1
62.30  37
66.55  1

Structural model:
a = 7.301 Å, b = 7.301 Å, c = 7.301 Å
α = 90.00°, β = 90.00°, γ = 90.00°
Fractional positions:
Pm  0.250  0.250  0.250
Pm  0.250  0.250  0.750
Pm  0.250  0.750  0.250
Pm  0.250  0.750  0.750
Pm  0.750  0.250  0.250
Pm  0.750  0.250  0.750
Pm  0.750  0.750  0.250
Pm  0.750  0.750  0.750
Pd  0.000  0.000  0.000
Pd  0.000  0.500  0.500
Pd  0.500  0.000  0.500
Pd  0.500  0.500  0.000
Au  0.000  0.000  0.500
Au  0.000  0.500  0.000
Au  0.500  0.000  0.000
Au  0.500  0.500  0.500

---

(3)
This entry pairs a crystal structure of Sb8Pd3Au with its calculated PXRD pattern. Radiation: Cu Kα. Structure: DFT lattice parameters and positions (PBE).

Main lines, by angle (5° ≤ 2θ ≤ 70°):
2θ (°)  intensity
26.93  50
30.12  88
30.24  47
32.99  15
33.20  90
38.35  19
38.56  19
45.27  33
45.48  100
49.51  19
51.42  15
51.77  31

Structural model:
a = 6.622 Å, b = 6.622 Å, c = 6.622 Å
α = 89.70°, β = 89.70°, γ = 89.70°
Fractional positions:
Sb  0.117  0.370  0.629
Sb  0.126  0.126  0.126
Sb  0.370  0.629  0.117
Sb  0.371  0.883  0.630
Sb  0.629  0.117  0.370
Sb  0.630  0.371  0.883
Sb  0.874  0.874  0.874
Sb  0.883  0.630  0.371
Pd  0.000  0.000  0.500
Pd  0.000  0.500  0.000
Pd  0.500  0.000  0.000
Au  0.500  0.500  0.500

---

(4)
This entry pairs a crystal structure of Sr2PdAu with its calculated PXRD pattern. Radiation: Cu Kα. Structure: DFT lattice parameters and positions (PBE).

Main lines, by angle (5° ≤ 2θ ≤ 70°):
2θ (°)  intensity
20.14  7
23.29  9
33.18  100
39.12  5
40.93  3
47.63  18
52.21  2
53.67  4
59.27  38
63.27  2
69.64  12

Structural model:
a = 7.637 Å, b = 7.637 Å, c = 7.637 Å
α = 90.00°, β = 90.00°, γ = 90.00°
Fractional positions:
Sr  0.250  0.250  0.250
Sr  0.250  0.250  0.750
Sr  0.250  0.750  0.250
Sr  0.250  0.750  0.750
Sr  0.750  0.250  0.250
Sr  0.750  0.250  0.750
Sr  0.750  0.750  0.250
Sr  0.750  0.750  0.750
Pd  0.000  0.000  0.000
Pd  0.000  0.500  0.500
Pd  0.500  0.000  0.500
Pd  0.500  0.500  0.000
Au  0.000  0.000  0.500
Au  0.000  0.500  0.000
Au  0.500  0.000  0.000
Au  0.500  0.500  0.500

~~~~~

[1]
~~~
**The records of crystals stop here:**

Government officials will no longer be able to hide behind jargon, acronyms and ambiguity. The Plain Language Act 2022, which promotes the use of clear and concise language within the public sector, was passed into law last month.
The Plain Language Act requires public service agencies and Crown agents to use simple, plain language when communicating with the public. The Act champions plain language on the basis that “comprehensible information from government organisations is a basic democratic right”. It aims to improve the effectiveness of and accessibility to public documents, particularly for people who speak English as a second language, people with disabilities, people with lower levels of education, and the elderly. Accordingly, the Act seeks to improve inequities that New Zealanders face when accessing public information.
Controversy in Parliament
Labour MP Rachel Boyack, who sponsored the Bill, said that it is “a common sense change that will make engaging with the public sector simpler for New Zealanders”. The opposition argued that the Act will increase bureaucracy and has vowed to repeal it, if elected next year. National MP, Simeon Brown said that Act will create “plain language police, who will be having their clipboards and their little white coats, running around, looking over the shoulders of all the public servants, checking to see that they’re… writing with words of less than one syllable.” The Bill passed with support from the Labour, Green and Māori parties.
The United States Experience
The Act is modelled off the United States Plain Writing Act 2010. While the impacts of the US Act were initially unimpressive,[1] they have significantly improved over time.[2] The US experience suggests that the Act will assist New Zealanders in understanding government documents.
Next Steps for Agencies
Unhelpfully, there is no single definition of plain language. The Act defines plain language as language that is appropriate to the intended audience; and clear, concise, and well organised. Agencies will have to wait for the Public Service Commissioner to issue guidance on how to comply with the Act.
Agencies will also be required to appoint plain language officers. These officers will be responsible for compliance, educating agency employees, and responding to complaints and requests from the public. Agencies will also have to provide annual reports to the Public Service Commissioner. However, the Act does not include any enforcement mechanisms, enforceable rights nor obligations. Members of the public also cannot seek any remedies if they find documents that are not in plain language. The Act could therefore be seen as redundant, or in the words of a National MP, “a solution looking for a problem”.
The Act will come into force in April 2023. If your organisation needs further guidance or assistance with complying with the Plain Language Act, please contact one of our public law experts.
Special thanks to Madeleine Holmes for her assistance in writing this article.